JOINON WALLBOX I-CON BASIC recharging unit for electric vehicles
The station codifies the errors found by the electronic board and saves them in the internal log.
The log files are saved on the microSD card on the electronic board. These files need to be analysed in order to
find the cause of the problem.
The errors that might be detected by the charging station are listed below
Error code
Error 4
The contactor is working when it
shouldn't be. The Type 2 socket-outlet
is powered in the standby condition
Check the signal from the electronic board to the
contactor, to make sure the former isn't controlling
the latter. If the board isn't controlling the contactor,
make sure the contactor contacts aren't jammed.
If necessary, replace the device
Error 5
The shutters of the type 2 socket-out-
let aren't in the right condition (closed)
Check the mobility of the gates and the relative
mechanical devices. If necessary, replace the
Error 6
Error in the control of the socket-outlet
locking motor (it doesn't switch from
OPEN to the CLOSED position)
Manually check the mobility of the pin by moving
the red lever on the back of the type 2 socket-outlet
locking motor.
Error 7
Error in the control of the socket-outlet
locking motor (it doesn't switch from
CLOSED to the OPEN position)
Manually check the mobility of the pin by moving
┌──
The following is a quantum chemistry calculation of C20H26N7PS3Yb as an isolated structure, from OMol25.

As for the spin multiplicity: 2. The lowest unoccupied orbital energy (alpha / beta) is -4.0 / -4.0 eV. As for the HOMO-LUMO gap (alpha / beta): 5.46 / 5.47 eV. As for the total charge: +1. Its expectation value of S² is 0.7509. As for the energy relative to the best compared isomer or geometry (same formula, charge and spin): 0.000 eV.

XYZ file:
```
58
Properties=species:S:1:pos:R:3:forces:R:3
Yb 0.108574 0.133905 -0.780228 -0.245 0.644 -0.036
C 1.161123 3.227041 2.671984 0.020 0.034 -0.001
C 1.033477 2.061700 1.743486 0.427 -0.059 0.049
N -0.045416 1.609788 1.233702 -0.147 -0.117 -0.142
N -1.242038 2.195233 1.521399 0.022 -0.206 -0.092
C -2.396585 1.668847 1.036712 0.087 0.193 0.038
N -3.498736 2.334489 1.374538 -0.101 -0.067 -0.004
S -2.499359 0.290392 0.072929 0.173 0.004 0.025
C 2.292975 1.341452 1.349153 -0.346 0.216 0.113
C 3.521173 1.720023 1.848419 0.220 -0.010 0.026
C 4.660763 1.035883 1.432155 -0.049 0.111 0.083
C 4.531920 -0.002042 0.535145 -0.024 -0.084 -0.073
C 3.259717 -0.320736 0.081840 0.081 0.054 0.068
N 2.171349 0.329640 0.478714 -0.136 -0.244 -0.169
H 0.222625 3.703632 2.937359 -0.017 -0.024 -0.003
H 1.793537 3.987941 2.211978 -0.003 -0.002 -0.006
H 1.635674 2.912951 3.602323 0.002 -0.006 -0.008
H -1.259279 3.062155 2.035538 0.001 0.028 -0.018
H -3.494101 3.160334 1.949995 0.013 0.004 -0.005
H -4.381567 2.012189 1.014546 0.002 0.006 -0.004
H 3.610021 2.540107 2.544597 0.011 -0.009 -0.009
H 5.633557 1.325598 1.806361 -0.014 -0.005 0.001
H 5.387812 -0.555718 0.177068 -0.002 0.011 0.006
H 3.115058 -1.117577 -0.638807 -0.012 -0.009 -0.011
S 0.812263 2.429917 -1.746230 -0.175 -0.300 0.039
C 0.680575 2.246731 -3.510955 0.040 0.068 0.114
C 1.092365 3.321449 -4.300220 0.000 0.028 0.003
C 1.031862 3.264783 -5.681478 -0.006 -0.027 0.020
C 0.554734 2.117249 -6.300421 0.001 -0.002 0.032
C 0.142502 1.044723 -5.528878 -0.017 -0.018 -0.024
C 0.195851 1.092009 -4.135694 -0.053 -0.139 0.044
S -0.365196 -0.351914 -3.249685 0.221 0.061 0.060
H 1.465659 4.211673 -3.809457 -0.006 -0.016 -0.002
H 1.357596 4.111964 -6.271090 -0.005 -0.009 0.011
H 0.503265 2.056651 -7.379470 -0.006 -0.007 0.004
H -0.231432 0.146310 -6.003503 0.000 0.011 0.010
C -1.151647 -5.606786 -0.874368 -0.021 -0.022 0.007
N -1.325712 -4.732041 -2.030360 0.051 0.047 0.008
C -0.216198 -4.945833 -2.962761 0.002 0.000 0.021
N 1.105530 -4.778848 -2.351252 -0.033 0.071 0.037
C 1.202482 -5.652383 -1.183889 -0.039 0.028 0.035
N 0.137049 -5.443558 -0.198914 0.045 0.029 -0.047
C 0.244538 -4.147887 0.457961 -0.025 0.111 -0.036
P 0.109931 -2.752205 -0.767431 0.066 -0.016 -0.246
C -1.436418 -3.334400 -1.634713 0.095 -0.080 0.075
C 1.356862 -3.384912 -2.001910 -0.115 -0.183 0.128
H -1.219314 -6.640141 -1.216522 -0.001 -0.010 -0.009
H -1.957990 -5.426198 -0.161597 0.000 0.003 0.007
H -0.312654 -4.254273 -3.800289 -0.004 0.001 -0.004
H -0.286087 -5.966540 -3.340069 0.002 -0.014 -0.004
└──
the red lever on the back of the type 2 socket-outlet
locking motor.
Error 8
The energy meters are no longer com-
municating with the electronic board
Check the Modbus line connection
Check the power supply to the energy meters
Make sure the energy meters are working properly
Make sure the component on the Modbus line is
numbered correctly
Error 10
The charging station has been dis-
connected from the platform for more
than 24h
Disconnect the power supply to the charging
Leave the station switched off for at least 2 minutes
Reconnect the power supply, then wait for the
station to reconnect to the platform
Error 13
DC current detected on return line
from the vehicle
In this situation, the charging session is immediately
suspended. Remove the recharging cable from the
vehicle and wait to begin a new session.
If the problem persists, contact the manufacturer of
the vehicle
Error 14
Short-circuit detected on the CP
The station detects a short-circuit between the CP
Attached: calculated molecules >
- - -
Entry 1:
A cluster of 18 separate species, C54H126N18O18 in total, computed with ωB97M-V with the def2-TZVPD basis set.

Properties
Energy relative to the best compared isomer or geometry (same formula, charge and spin): 1301.01 kJ/mol
Gap between HOMO and LUMO: 8.00 eV
Highest occupied orbital energy: -7.93 eV

Geometry as ORCA input:
```
! RIJCOSX wB97M-V def2-TZVPD def2/J DEFGRID3
* xyz 0 1
C 5.72 -4.05 0.14
O 5.74 -3.63 1.30
N 5.08 -3.49 -0.89
C 5.35 -3.93 -2.24
C 4.35 -2.26 -0.75
H 6.25 -4.95 -0.21
H 6.10 -3.32 -2.76
H 4.38 -3.92 -2.73
H 5.87 -4.88 -2.18
H 5.05 -1.43 -0.75
H 3.60 -2.20 -1.54
H 3.79 -2.20 0.18
C -1.53 -1.31 6.93
O -2.20 -0.87 7.92
N -1.81 -1.00 5.67
C -2.59 0.10 5.18
C -0.87 -1.39 4.62
H -0.76 -2.10 6.94
H -3.51 0.26 5.74
H -2.78 0.01 4.11
H -2.09 1.06 5.23
H -0.22 -0.55 4.41
H -0.15 -2.15 4.92
H -1.30 -1.61 3.64
C -1.23 2.62 0.97
O -2.33 2.49 0.39
N -0.22 3.41 0.49
C 0.86 3.93 1.34
C -0.28 4.10 -0.78
H -0.93 2.07 1.89
H 1.85 3.71 0.95
H 0.76 3.66 2.39
H 0.83 5.02 1.29
H -1.24 3.82 -1.21
H -0.12 5.16 -0.62
H 0.50 3.78 -1.47
C -8.09 -0.60 3.84
O -7.18 -0.76 4.62
N -7.99 -0.86 2.57
C -9.20 -0.90 1.75
C -6.77 -1.51 2.08
H -9.05 -0.11 4.07
H -9.69 -1.84 1.52
H -9.01 -0.46 0.77
H -9.96 -0.31 2.25
H -5.81 -1.33 2.58
H -7.04 -2.55 2.29
H -6.49 -1.28 1.05
C 1.65 -4.45 6.75
O 1.05 -3.36 6.63
N 2.25 -5.07 5.75
C 2.82 -6.41 5.96
C 2.18 -4.63 4.32
H 1.69 -5.05 7.68
H 2.19 -7.10 5.41
H 2.85 -6.85 6.96
H 3.78 -6.49 5.45
H 2.03 -3.56 4.16
H 3.17 -4.82 3.91
H 1.44 -5.23 3.79
C -2.94 1.80 -4.31
O -2.65 0.94 -3.54
N -3.85 1.61 -5.32
C -4.46 2.67 -6.13
C -4.66 0.41 -5.50
H -2.56 2.84 -4.30
H -5.55 2.68 -6.10
H -4.21 2.56 -7.19
H -4.11 3.64 -5.78
H -4.14 -0.49 -5.17
H -5.52 0.64 -4.87
H -4.92 0.38 -6.55
C 4.49 3.45 2.47
O 3.87 3.91 3.46
N 5.75 3.79 2.18
C 6.55 2.93 1.26
C 6.45 4.85 2.89
H 4.10 2.81 1.66
H 7.33 3.52 0.77
H 5.93 2.54 0.44
H 7.21 2.24 1.79
H 6.94 5.38 2.08
H 5.74 5.59 3.28
H 7.15 4.50 3.65
C 1.79 6.33 -4.03
O 1.18 5.25 -4.07
N 2.95 6.53 -4.64
C 3.41 7.96 -4.79
C 3.62 5.54 -5.52
H 1.29 7.23 -3.66
H 4.34 8.13 -4.24
H 2.71 8.76 -4.56
H 3.73 8.17 -5.82
H 3.69 5.94 -6.52
H 4.65 5.32 -5.24
H 3.12 4.57 -5.54
C 4.92 -0.37 2.42
O 4.35 0.46 1.66
N 4.28 -0.82 3.57
C 4.88 -2.06 4.19
C 2.80 -0.61 3.61
H 5.96 -0.73 2.38
H 4.70 -2.91 3.53
H 4.35 -2.28 5.11
H 5.95 -1.96 4.34
H 2.41 -1.33 2.88
H 2.39 -0.95 4.57
H 2.47 0.36 3.25
C -4.19 -2.87 0.01
O -4.09 -2.63 1.19
N -4.36 -1.91 -0.93
C -4.59 -0.56 -0.55
C -4.31 -2.27 -2.34
H -3.91 -3.82 -0.48
H -4.44 -0.43 0.52
H -5.61 -0.28 -0.80
H -3.85 0.13 -0.97
H -4.07 -1.38 -2.91
H -3.54 -3.02 -2.52
H -5.30 -2.67 -2.57
C -5.05 -2.98 6.30
O -5.31 -3.00 7.51
N -4.29 -3.93 5.72
C -3.99 -3.91 4.26
C -3.64 -5.06 6.37
H -5.31 -2.14 5.64
H -3.89 -4.96 3.99
H -3.03 -3.50 3.96
H -4.83 -3.45 3.73
H -3.76 -5.12 7.45
H -3.88 -6.07 6.03
H -2.58 -4.92 6.18
C 1.20 -1.90 -4.48
O 1.46 -2.66 -3.53
N 0.03 -1.77 -5.09
C -0.13 -0.68 -6.19
C -1.12 -2.53 -4.75
H 1.92 -1.27 -5.01
H -0.38 -1.04 -7.18
H 0.78 -0.09 -6.31
- - -
signal and earth.
Remove the cable and try again.
If the error persists, replace the cable.
Error 15
The load connected is not suitable for
If a vehicle has been connected but the problem
persists, contact the manufacturer of the vehicle.
Station OFF
The electronic board is not receiving
the power supply it needs in order to
Check the power supply upstream of the station
Check the circuit breaker protection on the electron-
ic board protection panel is working properly
Check the 12V power supply to the electronic board
In the case of products connected to the JOINON platform, or if the maintenance package has been
purchased, call the FreePhone number 800 123 325 when necessary.
In all other cases where technical support is required, call GEWISS SAT customer service.